Topic 1:
Chapter 1 in Text Book
Pages: 6 -18
Key topics in this chapter :
Ñ What is Management
Ñ Definitions of Management
Ñ Nature of Management
Ñ The Management Process
Ñ Levels of Management
Ñ Managerial Skills
What is Management
Take a close look at the word MANAGEMENT and you will see that it actually includes the following:
MANAGE MEN T actfully
Thus we can see that management deals with people. It is the art of getting things done through people.
Definitions of Management
Management is knowing exactly what you want people to do and then seeing that they do it in the best and cheapest way. - F.W. Taylor
"Management is guiding human and physical resources into dynamic organization units which attain their objective to the satisfaction of those served and with a high degree of morale and sense of attainment in the part of those rendering the services." - American Management Association.
The people responsible for directing the efforts aimed at helping organizations achieve their goals are called Managers.
Nature of Management
· Management is a purposive activity, it has a goal as it aims to achieve the specific objectives of an organization.
· Management centers around integrating human effort with physical and financial resources, such as machinery, building, financial assets etc.
· Management continues throughout the lifetime of an organization.
· Management is relevant for all types of organizations - clubs, universities, hospitals, businesses etc.
· Management involves the use of 'group efforts' to reach the predetermined goals.
· Management is concerned with constantly researching, collecting information and using the information to take various decisions .
The Management Process
Management is the process of creating the internal environment of an enterprise where individuals working together involve in planning, organizing, leading, and controlling the activities effectively and efficiently towards the attainment of the group goals.
Planning is the process of establishing goals and a suitable course of action for achieving those goals.
Organizing is the process of engaging two or more people in working together in a structured way to achieve a specific goal or set of goals.
Leading is the process of directing and influencing the task-related activities of group members and involves motivating them to perform essential tasks and reach goals.
Controlling is the process of ensuring that actual activities conform to the planned activities.
Inorder to ensure the smooth flow of the management process in any organisation, it is necessary to see that there is a good amount of Co-ordination between the various functions.
- - -
(1)
Entry from the OMol25 dataset: the molecule C2H3F3O at a distorted geometry (ωB97M-V/def2-TZVPD).

Structure (XYZ):
```
9
Properties=species:S:1:pos:R:3:lowdin_charge:R:1
F -2.5676 0.0966 -0.0559 -0.038
O -1.3093 0.6298 0.0994 -0.033
C -0.4541 -0.4491 -0.0024 -0.116
C 1.0274 0.2400 0.0426 -0.334
F 1.1210 0.8943 -1.0798 0.105
F 1.2117 1.1056 1.1340 0.032
H -0.3776 -0.9434 -1.0517 0.162
H -0.4114 -1.1348 0.8097 0.110
H 1.7598 -0.4391 0.1040 0.111
```

Output
Energy above the lowest of the compared OMol25 structures with the same formula, charge and spin: 4.621 eV
HOMO-LUMO gap: 12.2 eV
HOMO: -11.35 eV
Net charge: 0
Lowest unoccupied orbital energy: 0.0316 Eh
2S+1: 1


(2)
Entry from the OMol25 dataset: a cluster of 2 separate species, C3H9NO2 in total at a distorted geometry (ωB97M-V/def2-TZVPD).

Structure (XYZ):
```
15
Properties=species:S:1:pos:R:3:lowdin_charge:R:1
C -1.4515 -0.5549 -0.7740 -0.019
C -0.5528 -1.5959 -1.3811 -0.567
N 0.1199 -1.3402 -2.5667 0.130
O -0.2307 -2.6373 -0.8321 0.030
H -1.3803 -0.4997 0.3330 0.086
H -2.5271 -0.6917 -0.9258 0.083
H -1.2339 0.4729 -1.1297 0.082
H 0.8891 -1.9321 -2.8138 0.096
H -0.1799 -0.6746 -3.2601 0.091
C 1.3755 1.7127 2.5109 -0.128
O 0.0841 1.4496 1.9236 -0.153
H 2.1251 1.1399 1.9551 0.079
H 1.4713 2.7851 2.4185 0.073
H 1.3717 1.2941 3.5065 0.072
H 0.1196 1.0722 1.0357 0.045
```

Output
Energy above the lowest of the compared OMol25 structures with the same formula, charge and spin: 1.333 eV
HOMO-LUMO gap: 10.6 eV
HOMO: -9.90 eV
Net charge: 0
Lowest unoccupied orbital energy: 0.0257 Eh
2S+1: 1


(3)
Entry from the OMol25 dataset: the ion C7H9O2 with charge +1 at a distorted geometry (ωB97M-V/def2-TZVPD).

Structure (XYZ):
```
18
Properties=species:S:1:pos:R:3:lowdin_spin:R:1
C -1.9014 2.0283 -1.6234 0.102
C -0.4619 1.8764 -1.0446 0.148
C -0.4780 0.7388 1.2974 0.043
C -1.3621 -0.0350 0.4750 0.053
C 1.0008 -0.0882 -0.5371 0.522
C -0.1623 0.6421 -0.2140 0.156
C 1.4129 -1.3813 -0.1709 0.109
O 0.3907 2.7104 -1.2735 0.455
O -2.5717 1.1051 -1.9763 0.263
H -2.2875 3.0331 -1.8381 0.039
H -0.9099 1.6289 1.6272 0.009
H 0.2715 0.2845 1.8570 0.000
H -1.6790 -1.0141 0.5357 0.002
H -2.3544 0.5799 0.3696 0.002
H 1.7200 0.2608 -1.2230 0.024
H 1.7293 -1.9357 -1.0553 0.021
H 0.7777 -2.0185 0.4522 0.001
H 2.3977 -1.2520 0.4872 0.051
```

Output
⟨S²⟩: 2.0194
Energy above the lowest of the compared OMol25 structures with the same formula, charge and spin: 0.304 eV
HOMO-LUMO gap (spin up / spin down): 4.6 / 6.8 eV
HOMO (spin up / spin down): -11.38 / -16.06 eV
Net charge: +1
Lowest unoccupied orbital energy (spin up / spin down): -0.2500 / -0.3405 Eh
2S+1: 3


(4)
Entry from the OMol25 dataset: a structure of composition C29H23Cl5F3N2O7S2Sc at a distorted geometry (ωB97M-V/def2-TZVPD).

Structure (XYZ):
```
72
Properties=species:S:1:pos:R:3:lowdin_spin:R:1
Sc 0.2083 -0.8547 0.3490 -0.022
C 3.8021 2.9543 -1.2414 0.000
C 3.9953 1.5419 -0.6714 0.000
C 3.7219 0.5089 -1.7626 0.000
C 3.0968 1.3883 0.5388 0.001
- - -
Levels of Management
Top Level Management : CEO, Board of directors and other departmental heads - they frame the overall policies and provide leadership to the whole organization.
Middle Level Management: departmental managers (finance manager, marketing manager etc) - links the top management with the supervisory level, interprets the decisions of the top management and directs the lower levels of management about various activities of their department.
Lower / Operative / Supervisory Level Management: includes section officer, supervisor, foreman etc. they assist and advice workers to perform the work efficiently and effectively and report problems to higher management levels
Efficiency - the ability to minimize the use of resources in achieving organizational objectives. "doing things right"
Effectiveness - the ability to determine the appropriate objectives "doing the right thing"
Managerial Skills
Inorder to develop as competent managers it is highly essential that managers possess a range of skills and qualities. Some of them are as follows:
· A visionary approach and the ability to lead others toward that vision.
· Technical skills that help in being up-to-date with the various quantitative techniques of management
· Ability to interpret and analyze information in a critical manner.
· Ability to create a good impression and modify personal behavior.
· Good communication skills- written, oral and non-verbal.
· The tolerance to perform in ambiguous and stressful situations.
· A genuine consideration for the business ethics.
· An understanding of the complexities of multi-cultural management.
· The ability to evaluate oneself realistically.
Test Your Knowledge
& Management is the art of getting things done through others (True or False)
& Management is knowing exactly what you want people to do and then seeing that they do it in the best and cheapest way. (Identify the author)
& The people responsible for directing the efforts aimed at achieving organisational goals are called __________
& Management is relevant for all types of organisations (True or False)
& Management does not involve the use of group efforts to achieve goals (True or False)
& ________ is the process of establishing goals and the means to achieve the goals.
& _________ is the process of arranging work, authority and resources among an organization's members to achieve goals.
& _________ is the process of influencing the activities of employees
& Controlling is the process of ensuring that actual activities conform to the planned activities (True or False)
& It is essential to see that there is ___________ between the various management processes.
& The three levels of management are ________, _________ and ___________.
& Doing things right in other words is ____________
& Doing the right thing in other words is ____________
& Inorder to develop as competent managers, it is not essential that they develop a range of skills and qualities. (True or False)
& _________ skills indicates the ability to use the procedures, techniques and knowledge of a specialized field.